What We Can Learn from “The Peanut Butter Falcon” about Spreading Inclusion

## Someone pasted data records at this point
- - -
No. 1
A relaxed structure of VCuO2. Source: the Materials Project database, functional PBE with a Hubbard U.

Properties
The calculated formation energy is -167.7 kJ/mol of atoms.

```
data_VCuO2
_chemical_formula_sum 'V3 Cu3 O6'
_symmetry_space_group_name_H-M 'R -3 m'
_symmetry_Int_Tables_number 166
_symmetry_space_group_name_Hall '-R 3 2"'
_cell_length_a 3.0296
_cell_length_b 3.0296
_cell_length_c 17.4493
_cell_angle_alpha 90.00
_cell_angle_beta 90.00
_cell_angle_gamma 120.00
loop_
_atom_site_label
_atom_site_type_symbol
_atom_site_fract_x
_atom_site_fract_y
_atom_site_fract_z
V1 V 0.0000 0.0000 0.0000
Cu1 Cu 0.0000 0.0000 0.5000
O1 O 0.0000 0.0000 0.3940
```

***

No. 2
A relaxed structure of VCuO4. Source: the Materials Project database, functional PBE with a Hubbard U.

Properties
The calculated formation energy is -158.7 kJ/mol of atoms.

```
data_VCuO4
_chemical_formula_sum 'V4 Cu4 O16'
_symmetry_space_group_name_H-M 'I m m a'
_symmetry_Int_Tables_number 74
_symmetry_space_group_name_Hall '-I 2b 2'
_cell_length_a 5.673
_cell_length_b 6.215
_cell_length_c 8.042
_cell_angle_alpha 90.00
_cell_angle_beta 90.00
_cell_angle_gamma 90.00
loop_
_atom_site_label
_atom_site_type_symbol
_atom_site_fract_x
_atom_site_fract_y
_atom_site_fract_z
V1 V 0.000 0.250 0.217
Cu1 Cu 0.250 0.250 0.750
O1 O 0.000 0.058 0.730
O2 O 0.242 0.250 0.091
```

***

No. 3
A relaxed structure of VCuO4. Source: the Materials Project database, functional PBE with a Hubbard U.

Properties
The calculated formation energy is -150.4 kJ/mol of atoms.

```
data_VCuO4
_chemical_formula_sum 'V8 Cu8 O32'
_symmetry_space_group_name_H-M 'P 1 21/c 1'
_symmetry_Int_Tables_number 14
_cell_length_a 6.399
_cell_length_b 8.481
_cell_length_c 11.740
_cell_angle_alpha 90.00
_cell_angle_beta 90.59
_cell_angle_gamma 90.00
loop_
_symmetry_equiv_pos_as_xyz
'x,y,z'
'-x,-y,-z'
'-x,y+1/2,-z+1/2'
'x,-y+1/2,z+1/2'
loop_
_atom_site_label
_atom_site_type_symbol
_atom_site_fract_x
_atom_site_fract_y
_atom_site_fract_z
V1 V 0.101 0.093 0.136
V2 V 0.396 0.545 0.154
Cu1 Cu 0.127 0.556 0.873
Cu2 Cu 0.276 0.173 0.873
O1 O 0.004 0.101 0.865
O2 O 0.081 0.732 0.401
O3 O 0.151 0.008 0.594
O4 O 0.187 0.128 0.288
O5 O 0.293 0.103 0.038
O6 O 0.372 0.524 0.299
O7 O 0.411 0.590 0.892
O8 O 0.461 0.741 0.117
```

***

No. 4
A relaxed structure of V12Cu10O33. Source: the Materials Project database, functional PBE with a Hubbard U.

Properties
The calculated formation energy is -170.7 kJ/mol of atoms.

```
data_V12Cu10O33
_chemical_formula_sum 'V12 Cu10 O33'
_symmetry_space_group_name_H-M 'P 1'
_symmetry_Int_Tables_number 1
_cell_length_a 5.633
_cell_length_b 10.772
_cell_length_c 13.380
_cell_angle_alpha 72.72
_cell_angle_beta 79.23
_cell_angle_gamma 77.22
loop_
_symmetry_equiv_pos_as_xyz
'x,y,z'
loop_
_atom_site_label
_atom_site_type_symbol
_atom_site_fract_x
_atom_site_fract_y
_atom_site_fract_z
V1 V 0.000 0.000 0.000
V2 V 0.015 0.810 0.471
V3 V 0.070 0.302 0.857
V4 V 0.165 0.505 0.585
V5 V 0.328 0.682 0.660
- - -
## Here the piece continues

In Hollywood, diversity and inclusion have become a frequent topic of discussion over the past few years. There has been a push from both within and outside the industry to shed light on the stories of the marginalized and underrepresented, including people of different races and genders. Though there is still much room for growth, these communities have shone brighter in films over the years, and Hollywood has become better and more interesting because of it.

However, one community has been kept mostly in the dark: people with disabilities. Though there are a few exceptions (ie. ABC shows Speechless and Life Goes On), the true stories and lives of those with disabilities are rarely depicted, and even rarer are these characters played by an actual person with a disability.

Enter: The Peanut Butter Falcon. An independent film starring Shia LaBeouf, Dakota Johnson, and newcomer Zack Gottsagen, The Peanut Butter Falcon tackles the task of portraying a person with special needs without shying away from deconstructing stereotypes and depicting both the challenges and triumphs that come with having a disability. But at the same time, this isn’t a movie about disability. As Kristen Lopez perfectly explains in her Forbes article about the movie, The Peanut Butter Falcon “goes beyond being a disabled story and is a story about people.” It is a story of adventure, friendship, and personal growth – and the main character happens to have Down syndrome.

This movie opens a door for people with disabilities to become active members of the film industry, not simply existing on the outskirts as minor characters or being portrayed by “typical” actors. Its impact is crucial not just for inclusion in Hollywood, but in society as a whole. Zack is a great example of someone who didn’t let his disabilities or human limits stop him from pursuing his dreams, and everyone can learn from his passion and perseverance – whether you have a disability or not. Additionally, he shows the rest of the world that people with disabilities are not only capable of being active members of society, but are necessary contributors to it. When watching interviews with cast and crew alike, it is clear that Zack has a lasting impact on whoever is around him.

As LaBeouf explains, Zack approaches every relationship with openness and sincerity, an attitude that is clearly contagious to anyone who is lucky enough to be his friend. He isn’t inspiring simply because he has a disability, but because he is a person who is so forcefully and genuinely himself that people can’t help but be changed by knowing him. They recognize his humanity and treat him as such. This is what inclusion is all about.

Though The Peanut Butter Falcon has made incredible strides in giving a voice to a community that has been kept silent for too long, our fight for inclusion is far from over. While we should all support and promote the movie (if you haven’t yet, go see it at your local theater!), inclusion is best spread through practice. This is achieved not by coddling people with disabilities, but stepping out of the way and allowing them to tell their stories in their own voice. The world will be a brighter place because of it.

-- Inserted here: materials data --
┌──
## one
VASP calculation (GGA+U) on crystalline LiCo2OF5 at its relaxed geometry.

a = 4.499 Å, b = 8.512 Å, c = 8.624 Å
α = 60.48°, β = 88.94°, γ = 88.03°
Positions (direct):
Li 0.000 0.000 0.000
Li 0.005 0.670 0.668
Li 0.518 0.335 0.335
Co 0.023 0.325 0.657
Co 0.023 0.643 0.019
Co 0.024 0.007 0.336
Co 0.496 0.341 0.991
Co 0.497 0.994 0.685
Co 0.498 0.687 0.339
O 0.247 0.116 0.759
O 0.254 0.799 0.426
O 0.276 0.449 0.093
F 0.246 0.120 0.102
F 0.248 0.775 0.114
F 0.253 0.775 0.783
F 0.255 0.444 0.767
F 0.274 0.456 0.439
F 0.276 0.113 0.444
F 0.741 0.568 0.226
F 0.748 0.219 0.558
F 0.754 0.235 0.880
F 0.760 0.218 0.217
F 0.763 0.903 0.559
F 0.767 0.899 0.223
F 0.772 0.552 0.892
F 0.774 0.872 0.896
F 0.783 0.553 0.551

***

## two
VASP calculation (GGA+U) on crystalline LiCo2OF5 at its relaxed geometry.

a = 4.991 Å, b = 4.561 Å, c = 16.903 Å
α = 90.00°, β = 90.27°, γ = 90.00°
Positions (direct):
Li 0.000 0.233 0.000
Li 0.000 0.767 0.500
Li 0.510 0.246 0.231
Li 0.510 0.754 0.731
Co 0.014 0.263 0.328
Co 0.014 0.737 0.828
Co 0.024 0.277 0.675
Co 0.024 0.723 0.175
Co 0.478 0.272 0.898
Co 0.478 0.728 0.398
Co 0.513 0.251 0.566
Co 0.513 0.749 0.066
O 0.151 0.479 0.246
O 0.151 0.521 0.746
O 0.183 0.494 0.899
O 0.183 0.506 0.399
F 0.183 0.476 0.575
F 0.183 0.524 0.075
F 0.324 0.025 0.320
F 0.324 0.975 0.820
F 0.341 0.022 0.650
F 0.341 0.978 0.150
F 0.349 0.008 0.989
F 0.349 0.992 0.489
F 0.664 0.489 0.992
F 0.664 0.511 0.492
F 0.670 0.478 0.654
F 0.670 0.522 0.154
F 0.692 0.484 0.323
F 0.692 0.516 0.823
F 0.832 0.008 0.904
F 0.832 0.992 0.404
F 0.833 0.028 0.582
F 0.833 0.972 0.082
F 0.847 0.020 0.246
F 0.847 0.980 0.746

***

## three
VASP calculation (GGA+U) on crystalline LiCo2OF5 at its relaxed geometry.

a = 4.579 Å, b = 4.579 Å, c = 18.368 Å
α = 90.76°, β = 90.76°, γ = 89.95°
Positions (direct):
Li 0.004 0.996 0.500
Li 0.506 0.523 0.750
Li 0.523 0.506 0.250
Li 0.996 0.004 0.000
Co 0.017 0.020 0.835
Co 0.020 0.017 0.335
Co 0.039 0.987 0.167
Co 0.483 0.488 0.917
Co 0.488 0.483 0.417
Co 0.501 0.517 0.086
Co 0.517 0.501 0.586
Co 0.987 0.039 0.667
O 0.213 0.216 0.909
O 0.216 0.213 0.409
O 0.309 0.716 0.159
O 0.716 0.309 0.659
F 0.208 0.211 0.751
F 0.209 0.219 0.084
F 0.211 0.208 0.251
F 0.219 0.209 0.584
F 0.301 0.724 0.664
F 0.307 0.721 0.834
F 0.310 0.708 0.000
F 0.310 0.719 0.334
F 0.323 0.693 0.505
F 0.693 0.323 0.005
F 0.708 0.310 0.500
F 0.719 0.310 0.834
F 0.721 0.307 0.334
F 0.724 0.301 0.164
F 0.797 0.801 0.914
F 0.798 0.809 0.085
F 0.801 0.797 0.414
F 0.809 0.798 0.585
F 0.824 0.827 0.754
F 0.827 0.824 0.254

***

Stability check: which of them is least stable? one.

***

## one
VASP calculation (GGA+U) on crystalline Li8CoO5F at its relaxed geometry.

a = 5.559 Å, b = 5.574 Å, c = 10.939 Å
α = 89.64°, β = 89.83°, γ = 60.45°
Positions (direct):
Li 0.000 0.000 0.000
Li 0.000 0.329 0.848
Li 0.266 0.398 0.001
Li 0.294 0.684 0.500
Li 0.310 0.041 0.652
Li 0.315 0.037 0.141
Li 0.342 0.730 0.849
Li 0.364 0.343 0.350
Li 0.594 0.075 0.850
└──
-- Back to the piece --

For more commentary on The Peanut Butter Falcon, check out our latest podcast, “Why Everyone Should See “The Peanut Butter Falcon” & How It Can Change The Way We See Special Needs In Movies.”